Found this in the FAQ section.
How do I figure out the ppm of my fertilizer mix?
Contributed by: diels alder
To figure out the ppm of your fertilizer (or fertilizer mix), you need to be able to measure grams (to a few decimal places unless you are making a lot of solution) and liters. Look at the numbers on the back of a fertilizer bag.
The pitfall to be avoided here is that the fertilizer manufacturers list some of the nutrients as their oxide, like K2O for potassium and P2O5 for phosphate. In the 'guaranteed analysis' there will be a list of compounds, and elements and their % content (supposedly, see conversions below).
For every one gram of said fertilizer in one liter of water, it contributes 10 ppm of the given nutrient per percentage point. A 20-20-20 gives 200 ppm (10 ppm X 20) of each nutrient for each gram in a liter of water.
The formula:
grams of fert per liter = A/B
A=your desired ppm
B=10 ppm X the %(not in decimal form) of nutrient in mix
your ppm = C X B
B=10 ppm X the % of nutrient in mix
C= grams of fert per liter
To convert from compounds to elements:
P = P2O5 X 0.44
K = K2O X 0.83
Mg = MgO x 0.60
You'll need to determine the Ca source to determine actual soluble Ca content:
Ca = CaCO3 X 0.4 for calcite or soluble Ca source
Ca = CaCO3 X 0.23 for dolomite
This is important to know, because the method the fertilizer manufacturers use to label the bags overstate the actual content. This is just the way they label the product, and says nothing about what form the nutrients are really in.
# What comes next are data records, not part of the piece
____________
[1]
Below is a geometry-optimized Cs2Tm2MgW4O16 structure, with properties calculated at the PBE+U level.

a = 7.6317 Å, b = 7.6765 Å, c = 7.9983 Å
α = 66.90°, β = 61.95°, γ = 62.96°
With the nearest neighbours (Å) after each atom.
Fractional positions:
Cs (0.0000, 0.0000, 0.0000)  10 O 2.97-3.26
Cs (0.2067, 0.3325, 0.2975)  1 Mg 2.75, 8 O 2.78-3.04
Tm (0.5212, 0.9672, 0.9834)  6 O 2.26-2.40
Tm (0.5884, 0.4439, 0.3994)  5 O 2.15-2.37
Mg (0.9306, 0.5683, 0.5627)  4 O 1.90-2.12
W (0.0451, 0.9189, 0.5101)  4 O 1.83-2.03
W (0.0654, 0.5094, 0.8857)  4 O 1.84-2.04
W (0.5523, 0.5186, 0.8933)  4 O 1.88-2.07
W (0.5528, 0.9058, 0.4967)  5 O 1.87-2.08
O (0.1914, 0.5929, 0.5726)  1 Mg 2.12, 2 W 2.15-2.18
O (0.2226, 0.9502, 0.2512)  1 W 1.86
O (0.2387, 0.9468, 0.5776)  2 W 1.91-2.07
O (0.2465, 0.5928, 0.9156)  2 W 1.90-2.07
O (0.2556, 0.2525, 0.8883)  1 W 1.84
O (0.4923, 0.5709, 0.1339)  1 W 1.92
O (0.5096, 0.8297, 0.7867)  2 W 2.06-2.12, 1 Tm 2.26
O (0.5114, 0.1822, 0.4628)  1 W 1.92, 1 Tm 2.15
O (0.5833, 0.2488, 0.9374)  1 W 1.88
O (0.5998, 0.8788, 0.2550)  1 W 1.87
O (0.6487, 0.5736, 0.5803)  1 Mg 2.07, 2 W 2.17-2.22
O (0.8532, 0.1724, 0.5114)  1 W 1.83
O (0.8677, 0.8462, 0.4387)  1 Mg 1.90, 2 W 2.03-2.08
O (0.8698, 0.4420, 0.8313)  1 Mg 1.90, 2 W 2.04-2.07
O (0.8833, 0.4833, 0.1412)  1 W 1.85
O (0.8850, 0.8129, 0.8058)  2 W 2.10-2.12

Computed properties:
magnetic moment = 2.00 μB/f.u.
distance to the lowest polymorph of the same formula = 59.5 meV per atom
calculated total energy = -178.12 eV/cell
calculated formation energy = -63.52 eV per formula unit
crystal system = triclinic

=====

[2]
Below is a geometry-optimized ZnW4O8 structure, with properties calculated at the PBE+U level.

a = 3.3029 Å, b = 7.7045 Å, c = 7.7753 Å
α = 88.26°, β = 77.80°, γ = 79.46°
With the nearest neighbours (Å) after each atom.
Fractional positions:
Zn (0.0000, 0.0000, 0.0000)  7 O 3.12-3.39, 2 Zn 3.30
W (0.2024, 0.5198, 0.1740)  6 O 2.06-2.17
W (0.4071, 0.8265, 0.5013)  6 O 2.06-2.18
W (0.7426, 0.1956, 0.4772)  6 O 2.06-2.17
W (0.8964, 0.5012, 0.8039)  6 O 2.06-2.18
O (0.0460, 0.7073, 0.3717)  3 W 2.06-2.18
O (0.1059, 0.3129, 0.6076)  3 W 2.06-2.17
O (0.3651, 0.0613, 0.3629)  3 W 2.07-2.14
O (0.3709, 0.3848, 0.9349)  3 W 2.08-2.15
O (0.4198, 0.6322, 0.6891)  3 W 2.06-2.18
O (0.7077, 0.6356, 0.0426)  3 W 2.07-2.15
O (0.7227, 0.3871, 0.2872)  3 W 2.06-2.17
O (0.7841, 0.9606, 0.6160)  3 W 2.08-2.14

Computed properties:
magnetic moment = 8.00 μB/f.u.
distance to the lowest polymorph of the same formula = 0.0 meV per atom
calculated total energy = -91.47 eV/cell
calculated formation energy = -22.04 eV per formula unit
crystal system = triclinic

=====

[3]
Below is a geometry-optimized LiZn2CrO4 structure, with properties calculated at the PBE+U level.

a = 5.3290 Å, b = 5.3290 Å, c = 5.3290 Å
α = 133.88°, β = 133.88°, γ = 67.27°
With the nearest neighbours (Å) after each atom.
Fractional positions:
Li (0.0000, 0.0000, 0.0000)  4 O 2.09
____________
So, to make a 200 ppm N, 100 ppm P, 200 ppm K mix using a 13-0-44 (potassium nitrate), a 12-62-0(monoamonium phosphate), and a 33-0-0 (ammonium nitrate) you would work backwards from your sole P and K sources (it makes it easiest in this case), and make up the N at the end.
You would use 0.55 g of potassium nitrate (200 ppm/(10 ppm X 44 K2O X 0.83)) and 0.37 g of monoammonium phosphate (100 ppm/(10 ppm X 62 P2O5 X 0.44)) in one liter.
This would give you 116 ppm N (10 ppm X 13N X 0.55g + 10 ppm X 12 N X 0.37 g), 101 ppm P (10 ppm X 62 P2O5 X 0.37g X 0.44), and 201 ppm K (10 ppm X 44 K2O X 0.55g X 0.83). 84 ppm are needed to raise the N to the 200 ppm level, so we can use 0.25 g of the ammonium nitrate (84 ppm/(10 ppm X 33 N)) to bring us up to finish.
The actual mix would yield: 199 ppm N, 101 ppm P, 201 ppm K mixture in one liter of water. To get more precision, you need to mix larger batches or get a better scale (you would need to make a 100 liter batch of the above with a scale that is only accurate to the gram).
If you mix your own ferilizer, you can adjust your N source to meet your pH needs (see the FAQ), rather than being dependant on adding acid or base, which is nice.
This works for formulating hydro mixes, as well as for us dirt farmers.